By Madame Fromage
If you’ve picked up a copy of Di Bruno Bros. House of Cheese, then you know that there is a chapter called “Rockstars.” Many of the hunks in that chapter come from a single import company, Essex St., in New York that is famous for rocking the American market with some of the best European artisanal cheeses.
Every Essex cheese is, in a word, astonishing. The product line is limited but carefully cultivated–a philosophy touted by the late, great founder Daphne Zepos, a woman credited for training many of the great cheese professionals across the country. Today, her legacy continues, and to celebrate her spirit Di Bruno Bros. has begun to host an annual Rock Star Dinner that benefits a scholarship fund in Daphne’s name.
As you might guess, the annual Rock Star Dinner showcases great Essex St. imports, and each course features a different cheese. Want a preview? Read about the different producers below, then try recreating our Essex St. cheese board!
Meet the Essex St. Producers
Giorgio Cravero, The King of Parmigiano Reggiano

Since 1855, Giorgio Cravero’s family has selected and matured Parmigiano-Reggiano in Bra, Italy. He works directly with a handful of farmstead cheesemakers who rely exclusively on local forage, an increasingly rare phenomenon among Parmigiano-Reggiano makers. The wheels mature for a year at each farm, then Giorgio moves them to his aging rooms in Bra and carefully oversees their development for another year or more. His aging rooms and his care are legendary.
Philippe Goux, A Comté Mastermind

For over two decades, Philippe Goux has worked with Marcel Petite, France’s leading Comté
affineur (a person who oversees the aging of cheese). From his home in Eastern France, Philippe has led hundreds of cheesemongers and makers through the details of making and aging the legendary 80-lb. wheels of Comté at Fort St. Antoine, the cellars where France’s best Comté is aged. The Fort, a military stronghold built into a hillside, is attended by a legion of affineurs in white lab coats who oversee the wheels.
Betty Koster, The Powerhouse Behind L'Amuse Gouda

In 1989, Betty Koster founded Fromagerie L’Amuse with her husband Martin. Their shops in Santpoord-Noord and Amsterdam feature rare, small-production Dutch gems like Wilde Weide and the unusual goat gouda, Brabander. Betty’s long-term connections to Dutch farmers, cheesemakers, and affineurs have given her access to an unparalleled range of cheeses. She exports a handful to America, including her signature two-year warm-cellar-aged Gouda L’Amuse.
José Luis Martín, The Craftsman Behind Manchego 1605

Since 1996, José Luis Martin has been a writer, teacher, and advisor to cheesemakers and mongers throughout Spain. Pictured above is José Luis deep in thought, set to perfect his next wheel of Manchego! Prior to that, he spent two decades making award-winning farmstead organic goat cheese from his own herd in his native Extremadura. He operates a renowned shop, La Fromagerie, in Madrid’s San Miguel. He also works closely with the farm and maker at Sierra de la Solana Farm in La Mancha who produces one of only three raw-milk, farmstead Manchegos in all of Spain. His Manchego 1605 is exceptional.
Essex St. Cheese Pairings

== Between two parts of the piece: molecular data ==
'''
Below is 2 unconnected molecules or ions with the total composition CH2NO in a non-equilibrium geometry, with properties calculated with ωB97M-V/def2-TZVPD.

Last column: Löwdin charge in e.
Element x y z (Å)
C  0.205  0.641  0.531  0.41
N  0.195  2.324  3.052  0.36
O  0.534  2.280  1.974  0.08
H  -0.186  0.719  -0.582  0.10
H  1.265  0.359  0.811  0.05

As for the net charge: +1. The calculation puts the HOMO-LUMO gap (spin up / spin down) at 7.36 / 9.22 eV. The maximum force is 0.06944 hartree/bohr. As for the energy relative to the best compared isomer or geometry (same formula, charge and spin): 3.8358 eV.
'''

To create our Essex St. cheese board, we reached out to members of the company and to the producers themselves to find out their favorite combinations. With cheeses this good, you’ll want to pair and share them
—not grate or cook with them.
Wilde Weide Gouda with Apricots and Whiskey
Why it works: This small-batch, organic raw-milk Gouda is so complex, it can stand up to dark spirits. In fact, the cheese itself tastes a little bit like whiskey. Try the cheese first; let it melt on your tongue, and note the range of flavors. Then take a sip of whiskey. Eat the apricot to refresh your palate.
Manchego 1605 with Membrillo and Grapes
From: José Luis Martín of Manchego 1605
Why this works: Membrillo, or quince paste, is a classic Spanish pairing for Manchego. The sweet acidity of the paste offsets this luxe sheep’s milk cheese, which is mellow and slightly salty in flavor and has a very creamy mouthfeel. The Spaniards say, “Grapes and cheese taste like a kiss.” Hence, this juicy addition to the pairing.
L’Amuse Signature Gouda with Red Potatoes and Truffle
From: Betty Koster, Owner of L’Amuse Cheese Shop
Why this works: Betty told us that she likes to serve “baby red potatoes, barely cooked, in a thin mayonnaise with cream, thin slices of Signature L' Amuse, thin slices of truffles, dried pancetta and fried parsley.” We’ve simplified the pairing by serving steamed red potato halves topped with bacon-y L’Amuse Gouda and a touch of jarred truffle cream.
Essex Street Comté with Summer Vegetables and a Fruity White
From: Philippe Goux of Essex St. Comté
Why this works: Philippe loves to pair Essex St. Comté with fruity white wine or sparkling wine and fresh, young summer vegetables. Try serving blanched or steamed asparagus, green beans, and cauliflower. The gentle flavors of the vegetables let the complexity of this earthy, sweet Comté shine.
Other Essex St. favorites not pictured here:
Leah Lewis of Essex St. recommends melting Brabander on a pizza with spinach, garlic, and sundried tomatoes.
When tasting Parmigiano-Reggiano, Giorgio Cravero loves to serve Prosecco as an accompaniment. Its effervescence cleanses the palate.